**Data**
<<<
Record 1
The following is a PBE-GGA calculation of an optimized crystal structure of Ho5HgIr4, from the Alexandria database.

a = 3.452 Å, b = 3.452 Å, c = 17.615 Å
α = 90.00°, β = 90.00°, γ = 90.00°
Space group P4/mmm (No. 123)
One atom of each set of equivalent atoms:
1 Ho 0.000 0.000 0.000 [1 per cell]
2 Ho 0.000 0.000 0.191 [2 per cell]
3 Ho 0.000 0.000 0.380 [2 per cell]
4 Hg 0.500 0.500 0.500 [1 per cell]
5 Ir 0.500 0.500 0.096 [2 per cell]
6 Ir 0.500 0.500 0.290 [2 per cell]

Calculated values
formation enthalpy at 0 K	-76.2	kJ per mole of atoms
crystal system	tetragonal



Record 2
The following is a PBE-GGA calculation of an optimized crystal structure of Ho4HgIr2, from the Alexandria database.

a = 11.456 Å, b = 13.554 Å, c = 8.728 Å
α = 90.00°, β = 90.00°, γ = 90.00°
Space group Fdd2 (No. 43)
One atom of each set of equivalent atoms:
1 Ho 0.065 0.394 0.000 [16 per cell]
2 Ho 0.111 0.294 0.402 [16 per cell]
3 Hg 0.000 0.000 0.845 [8 per cell]
4 Ir 0.059 0.323 0.709 [16 per cell]

Calculated values
formation enthalpy at 0 K	-63.0	kJ per mole of atoms
crystal system	orthorhombic



Record 3
The following is a PBE-GGA calculation of an optimized crystal structure of Ho5HgIr2, from the Alexandria database.

a = 7.716 Å, b = 7.716 Å, c = 13.381 Å
α = 90.00°, β = 90.00°, γ = 90.00°
Space group I4/mcm (No. 140)
One atom of each set of equivalent atoms:
1 Ho 0.000 0.000 0.000 [4 per cell]
2 Ho 0.160 0.340 0.135 [16 per cell]
3 Hg 0.000 0.000 0.250 [4 per cell]
4 Ir 0.141 0.359 0.500 [8 per cell]

Calculated values
formation enthalpy at 0 K	-68.3	kJ per mole of atoms
crystal system	tetragonal



Record 4
The following is a PBE-GGA calculation of an optimized crystal structure of Ho2HgIr, from the Alexandria database.

a = 4.0840 Å, b = 4.0840 Å, c = 21.9034 Å
α = 90.00°, β = 90.00°, γ = 120.00°
Space group R3m (No. 160, hexagonal axes)
One atom of each set of equivalent atoms:
1 Ho 0.0000 0.0000 0.0000 [3 per cell]
2 Ho 0.0000 0.0000 0.2018 [3 per cell]
3 Hg 0.0000 0.0000 0.7665 [3 per cell]
4 Ir 0.0000 0.0000 0.6023 [3 per cell]

Calculated values
formation enthalpy at 0 K	-59.0	kJ per mole of atoms
crystal system	trigonal
energy relative to the lowest polymorph listed for this composition	9.68	kJ per mole of atoms



Record 5
The following is a PBE-GGA calculation of an optimized crystal structure of Ho12Hg6Ir, from the Alexandria database.

a = 11.9426 Å, b = 11.9426 Å, c = 13.2543 Å
α = 90.00°, β = 90.00°, γ = 120.00°
Space group R-3 (No. 148, hexagonal axes)
One atom of each set of equivalent atoms:
1 Ho 0.0288 0.8392 0.3749 [18 per cell]
2 Ho 0.0359 0.1888 0.8917 [18 per cell]
3 Hg 0.0073 0.3964 0.7592 [18 per cell]
4 Ir 0.0000 0.0000 0.5000 [3 per cell]

Calculated values
formation enthalpy at 0 K	-28.1	kJ per mole of atoms
crystal system	trigonal



Record 6
The following is a PBE-GGA calculation of an optimized crystal structure of Ho2HgIr2, from the Alexandria database.

a = 4.440 Å, b = 5.955 Å, c = 8.112 Å
α = 90.00°, β = 90.00°, γ = 90.00°
Space group Immm (No. 71)
One atom of each set of equivalent atoms:
1 Ho 0.000 0.000 0.209 [4 per cell]
2 Hg 0.000 0.500 0.000 [2 per cell]
3 Ir 0.000 0.290 0.500 [4 per cell]

Calculated values
formation enthalpy at 0 K	-66.0	kJ per mole of atoms
crystal system	orthorhombic



Record 7
The following is a PBE-GGA calculation of an optimized crystal structure of Ho12Hg5Ir2, from the Alexandria database.

a = 16.443 Å, b = 7.693 Å, c = 9.277 Å
α = 90.00°, β = 104.46°, γ = 90.00°
Space group C2/m (No. 12)
One atom of each set of equivalent atoms:
1 Ho 0.003 0.000 0.244 [4 per cell]
2 Ho 0.025 0.500 0.829 [4 per cell]
3 Ho 0.144 0.250 0.566 [8 per cell]
4 Ho 0.169 0.239 0.104 [8 per cell]
5 Hg 0.000 0.500 0.500 [2 per cell]
6 Hg 0.189 0.000 0.840 [4 per cell]
7 Hg 0.207 0.000 0.371 [4 per cell]
8 Ir 0.000 0.216 0.000 [4 per cell]

Calculated values
formation enthalpy at 0 K	-30.0	kJ per mole of atoms
crystal system	monoclinic



Record 8
>>>
**Request**
The reader should copy every line earlier on that contains the word "set".
**Worked solution**
One atom of each set of equivalent atoms:
One atom of each set of equivalent atoms:
One atom of each set of equivalent atoms:
One atom of each set of equivalent atoms:
One atom of each set of equivalent atoms:
One atom of each set of equivalent atoms:
One atom of each set of equivalent atoms: